From the perspective of liberals, the Obama administration has been downright awful. Obama set the tone for his presidency by involving a misogynistic, heterosexist, and anti American religious extremist, Rick Warren, in the inauguration. From continuing torture in Gitmo, Bagrham, and the rape rooms of Abu Ghraib to pushing financial reforms that are far too heavily weighted in favor of the banksters, Obama has pursued Republican policies that vast majority of the time. We are still in Iraq. Obama's Sec. of State, Hillary Clinton, is doing everything in her power to start a war with Iran and to spark and Arab-Israeli war. This administration may let the Bush tax cuts for the rich expire in the face of a huge deficit, but they are doing nothing to repeal Reagan's tax cuts for the rich. Our bloated military budget keeps growing astronomically. Illegal spying on Americans continues just as it did under Bush, and the Obama administration has continued to follow the previous regime's policy of obstruction of justice for criminals like Bush and Cheney.
Whether this administration is called the third Bush term or the eighth Reagan term, things have been dreadful. And, the string of betrayals found its epitome in the reverse Robin Hood wealthcare bill. Liberals have every reason to be really, really pissed off at President Obama.
Perhaps that's why Obama has been throwing some bones at us lately.
Recess Appointments to the NLRB
Desperate to prove that they are more bought than the Democrats, Republicans have been blocking nomination votes on two appointees to the National Labor Relations Board. Once wealthcare had passed, Obama used his constitutional powers to appoint Craig Becker and Mark Pearce. Having an NLRB with a voting majority and one that isn't biased against workers is important for union organizing. Unions need all the help they can get, especially since the excise taxes on mediocre health plans (as opposed to the rest of the plans which are just plain awful) will weaken their bargaining positions considerably if they go into effect as scheduled by the wealthcare bill in 2018.
Nuclear Arms Agreement with Russia
Many on the left and the right are exaggerating the significance of this arms agreement. Even after it goes into effect, Russia and the USA will both be able to kill everyone on the planet many times over. The main significance of the bill, and it is important, is that reducing the number of nuclear weapons reduces that odds of an accidental nuclear strike or nuclear war.
Visitation Rights Expanded
== Someone pasted data records at this point ==
┌──
Entry from the Open Molecules 2025 dataset: C16H36BEuNO6P as an isolated structure at a distorted geometry (ωB97M-V/def2-TZVPD).

Geometry as XYZ:
```
62
Properties=species:S:1:pos:R:3
C -1.810 -1.617 5.878
C -0.618 -2.204 5.170
O 0.207 -2.807 5.710
O -0.515 -2.029 3.794
C -1.698 -2.510 3.137
C -1.355 -2.905 1.710
C -1.510 -1.728 0.694
C -0.150 -1.118 0.336
P 0.123 -0.386 -1.439
C 0.396 0.390 -3.181
C -1.749 0.256 -1.541
C -2.099 1.282 -0.459
C -1.621 2.709 -0.786
C -1.206 3.463 0.502
C 0.180 4.142 0.411
N 0.166 5.521 0.934
C 2.017 -0.726 -1.141
O 2.924 0.258 -1.724
C 3.359 1.200 -0.803
C 4.852 1.388 -0.753
O 2.653 1.836 -0.150
C -0.237 -2.164 -2.153
B 0.486 -2.622 -3.482
O 1.836 -3.175 -3.508
O -0.136 -2.483 -4.764
H -1.671 -1.702 6.944
H -2.710 -2.172 5.627
H -1.903 -0.579 5.571
H -2.511 -1.783 3.150
H -2.081 -3.407 3.624
H -0.385 -3.388 1.637
H -2.090 -3.661 1.438
H -2.136 -1.009 1.213
H -2.109 -2.121 -0.124
H 0.592 -1.873 0.587
H 0.058 -0.282 1.015
H 0.416 0.936 -0.905
H -0.379 0.151 -3.909
H 0.332 1.472 -3.066
H 1.359 0.193 -3.698
H -2.472 -0.550 -1.616
H -1.891 0.842 -2.444
H -1.823 0.968 0.541
H -3.192 1.303 -0.476
H -2.475 3.257 -1.173
H -0.817 2.745 -1.518
H -1.187 2.798 1.363
H -1.933 4.230 0.749
H 0.492 4.159 -0.628
H 0.873 3.552 1.010
H 0.429 5.528 1.912
H 0.929 6.016 0.484
H 2.148 -0.562 -0.079
H 2.319 -1.759 -1.299
H 5.064 2.267 -1.360
H 5.180 1.611 0.251
H 5.392 0.568 -1.211
H -1.294 -2.382 -2.285
H 0.085 -2.869 -1.380
H 1.980 -3.705 -2.713
H 0.499 -2.026 -5.342
Eu 2.416 -0.738 -4.279
```

Its total energy is -2213.50678 a.u. The total charge is +1. Its expectation value of S² is 15.761. The LUMO energy (spin up / spin down) comes out at -5.247 / -5.129 eV. The spin multiplicity is 8. The frontier orbital gap (spin up / spin down) comes out at 5.08 / 5.21 eV.

Here are the Löwdin charges for atoms 1 to 6, given in e: 0.018 -0.556 0.177 -0.023 -0.206 -0.160

Entry from the Open Molecules 2025 dataset: a 5-piece molecular cluster, C16H36BF2O18PS4 overall (ωB97M-V/def2-TZVPD).

Geometry as XYZ:
```
78
Properties=species:S:1:pos:R:3
C -5.242 -4.292 -4.167
C -4.832 -3.459 -2.965
O -3.520 -2.978 -3.155
P -2.570 -2.395 -1.768
C -1.346 -3.763 -1.871
C 0.015 -3.260 -2.367
C 1.170 -4.241 -2.163
F 1.555 -4.796 -3.388
B -2.421 -0.874 -2.967
C -3.404 0.338 -2.812
O -1.463 -0.854 -3.963
C -1.696 -1.655 -0.180
C -1.232 -0.217 -0.225
F -2.622 -1.756 0.886
H -6.279 -4.623 -4.083
H -4.609 -5.182 -4.229
H -5.093 -3.727 -5.088
H -4.885 -4.077 -2.057
H -5.529 -2.617 -2.840
H -3.718 -2.508 -0.954
H -1.726 -4.503 -2.577
H -1.260 -4.247 -0.895
H 0.288 -2.325 -1.864
H -0.044 -3.044 -3.436
H 0.892 -5.072 -1.512
H 2.048 -3.735 -1.764
H -3.887 0.596 -3.758
H -2.802 1.186 -2.467
H -4.158 0.146 -2.049
H -0.552 -0.884 -3.660
H -0.854 -2.286 0.117
H -2.058 0.477 -0.393
H -0.803 0.034 0.752
H -0.432 -0.068 -0.955
O 1.881 -0.932 -0.348
S 2.279 -1.982 0.527
O 1.389 -3.055 0.804
O 2.789 -1.325 1.872
C 4.141 -1.736 2.166
C 4.744 -1.965 0.795
O 3.668 -2.580 0.045
└──
Obama's record so far on queer issues has been all over the map so far, but this is one case of Obama doing something that is even better than most people have realized so far. From the Gay City News 4/16/10:
In a Memorandum to the federal Health and Human Services (HHS) secretary, President Barack Obama requested that the agency develop federal regulations to ensure that hospitals participating in the Medicare and Medicaid programs — which make up virtually all the nation’s hospitals — allow visitation and medical decision-making by the individuals designated by the patient.
In the opening paragraphs of the two-page memo, released on the evening of April 15, the president said, “Uniquely affected are gay and lesbian Americans who are often barred from the bedsides of the partners with whom they may have spent decades of their lives — unable to be there for the person they love, and unable to act as a legal surrogate if their partner is incapacitated.”
The interesting, and seldom discussed, aspect of this is that the visitation rights and designations for medical decision makers are not limited to lovers, same sex or opposite sex. This directive will get rid of the most heinous examples of discrimination against single people of all sexual orientations and gender identities while dealing with cruel heterosexist discrimination.
Here the page breaks off for data records:
'''
[1]
{"formula": "C37H36GaN7O3S", "method": "ωB97M-V with the def2-TZVPD basis set", "orbital_gap_ev": 6.66, "de_lowest_kcal_mol": 4.8, "charge": 0, "e_lumo_ev": -0.489, "molar_mass_g_mol": 728.53, "species": ["Ga", "S", "O", "O", "O", "N", "N", "N", "N", "N", "N", "N", "C", "C", "C", "C", "C", "C", "C", "C", "C", "C", "C", "C", "C", "C", "C", "C", "C", "C", "C", "C", "C", "C", "C", "C", "C", "C", "C", "C", "C", "C", "C", "C", "C", "C", "C", "C", "C", "H", "H", "H", "H", "H", "H", "H", "H", "H", "H", "H", "H", "H", "H", "H", "H", "H", "H", "H", "H", "H", "H", "H", "H", "H", "H", "H", "H", "H", "H", "H", "H", "H", "H", "H", "H"], "coordinates": [[0.229, 0.418, -0.019], [-0.879, 2.611, 0.952], [-0.434, -1.500, -0.158], [0.931, 1.522, -1.427], [1.537, 4.198, -2.298], [-2.379, -1.319, 3.182], [-3.436, 2.649, 2.398], [1.800, -2.090, -0.337], [-2.656, 1.279, -0.674], [-3.531, 2.040, 1.216], [1.922, -0.721, -0.535], [-1.661, 0.718, -1.145], [2.458, 3.295, -1.868], [-2.865, 0.743, -3.288], [-1.852, 0.226, -2.490], [-4.516, 2.611, 3.282], [-1.447, -5.573, -0.295], [3.759, 3.762, -1.844], [-1.097, -1.134, -4.318], [0.184, 3.844, -2.595], [-3.859, -1.240, 3.040], [3.078, -0.243, -0.774], [3.281, 1.159, -1.093], [4.832, 2.957, -1.462], [-2.440, 1.991, 0.532], [0.060, 0.003, 4.326], [-3.003, 0.303, -4.594], [-6.805, 2.100, 3.795], [-0.953, -0.697, -3.011], [2.358, 0.295, 3.765], [0.724, -6.054, 0.621], [-5.383, 3.012, 5.491], [-5.762, 2.137, 2.881], [0.169, -3.803, -0.028], [-1.830, -2.558, 2.556], [2.175, 1.973, -1.441], [1.379, 0.135, 4.733], [-6.629, 2.536, 5.101], [1.080, -4.720, 0.487], [-0.539, -6.484, 0.231], [0.697, 0.167, 1.973], [4.592, 1.651, -1.107], [-2.124, -0.641, -5.111], [-4.327, 3.044, 4.594], [-1.728, -0.072, 2.618], [2.013, 0.318, 2.418], [-0.271, 0.009, 2.972], [0.538, -2.365, -0.171], [-1.096, -4.235, -0.418], [-2.229, -0.977, -6.134], [-2.298, 0.764, 3.025], [3.936, -0.915, -0.756], [-2.137, -1.341, 4.171], [-3.352, 3.412, 4.899], [-0.758, -2.588, 2.731], [-2.563, 3.106, 2.642], [0.134, 3.016, -3.299], [5.407, 0.988, -0.834], [-5.228, 3.358, 6.506], [-2.324, -3.422, 2.994], [2.063, -4.372, 0.775], [-4.310, -2.123, 3.485], [-0.237, 4.738, -3.050], [2.809, 0.463, 1.696], [-0.369, 3.587, -1.694], [-0.147, -1.066, -2.398], [-0.718, -0.051, 5.087], [-3.528, 1.494, -2.880], [-2.427, -5.906, -0.615], [-4.215, -0.337, 3.529], [-7.452, 2.513, 5.803], [-5.896, 1.806, 1.860], [-0.396, -1.855, -4.720], [-7.773, 1.734, 3.475], [-4.089, -1.195, 1.978], [3.919, 4.791, -2.145], [-0.811, -7.527, 0.330], [-1.793, -3.514, -0.831], [1.633, 0.138, 5.785], [-3.791, 0.710, -5.214], [5.838, 3.357, -1.464], [1.436, -6.762, 1.028], [3.394, 0.415, 4.060], [-1.892, -0.129, 1.546], [-2.014, -2.493, 1.489]]}

***

[2]
'''
Some Regulation of Mountaintop Removal Mining
The Environmental Protection Agency has finally put some regulations on the unethical and environmentally disastrous practice of mountaintop removal mining. The destruction of mountains and the poisoning of drinking water resulting from this demonstrates what a disgusting lie "Clean Coal" is. Regulation of Big Coal on this issue is a positive first step towards what needs to happen in the future: banning this mining practice and phasing out coal entirely.
The hopeful side of me would like to think that maybe Obama realizes that he needs to give Democrats and liberal independents positive reasons to show up to the polls and vote for Democratic politicians. The awfulness of the GOP just isn't enough. I am a bit hopeful, but I'm clear eyed enough to realize that Obama's record in the White House gives us all an overwhelming numbers of reasons for skepticism.